Contents:
........
LaCoSi2: optimized geometry, PBE.

Properties
- SG: Cmcm, No. 63
- Total DFT energy (no corrections): -6.46 eV/atom
- Theoretical density: 5.8 g/cm3
- ΔH_f (0 K): -696.8 meV per atom

a = 8.538 Å, b = 8.538 Å, c = 4.123 Å
α = 90.00°, β = 90.00°, γ = 151.26°
Atoms (fractional coordinates):
La  0.607  0.393  0.250
La  0.393  0.607  0.750
Co  0.818  0.182  0.250
Co  0.182  0.818  0.750
Si  0.956  0.044  0.250
Si  0.044  0.956  0.750
Si  0.250  0.750  0.250
Si  0.750  0.250  0.750
........

Assignment:
Please retype the whole of the entries above character by character.

Reply:
LaCoSi2: optimized geometry, PBE.

Properties
- SG: Cmcm, No. 63
- Total DFT energy (no corrections): -6.46 eV/atom
- Theoretical density: 5.8 g/cm3
- ΔH_f (0 K): -696.8 meV per atom

a = 8.538 Å, b = 8.538 Å, c = 4.123 Å
α = 90.00°, β = 90.00°, γ = 151.26°
Atoms (fractional coordinates):
La  0.607  0.393  0.250
La  0.393  0.607  0.750
Co  0.818  0.182  0.250
Co  0.182  0.818  0.750
Si  0.956  0.044  0.250
Si  0.044  0.956  0.750
Si  0.250  0.750  0.250
Si  0.750  0.250  0.750